Idiot stuck in the snow, funny classic!

........
The following is a DFT calculation (PBE) of a geometry-optimized LaNdHoEr3 structure.

Structure (CIF):
```
data_LaNdHoEr3
_cell_length_a 19.725
_cell_length_b 5.629
_cell_length_c 7.116
_cell_angle_alpha 90.00
_cell_angle_beta 90.44
_cell_angle_gamma 90.00
_symmetry_space_group_name_H-M 'C 1 2/m 1'
_symmetry_Int_Tables_number 12
loop_
_symmetry_equiv_pos_as_xyz
'x,y,z'
'-x,-y,-z'
'-x,y,-z'
'x,-y,z'
'x+1/2,y+1/2,z'
'-x+1/2,-y+1/2,-z'
'-x+1/2,y+1/2,-z'
'x+1/2,-y+1/2,z'
loop_
_atom_site_label
_atom_site_fract_x
_atom_site_fract_y
_atom_site_fract_z
_atom_site_occupancy
La1 0.146 0.000 0.035 1
Nd1 0.052 0.500 0.269 1
Ho1 0.151 0.000 0.460 1
Er1 0.024 0.000 0.735 1
Er2 0.165 0.500 0.731 1
Er3 0.221 0.500 0.243 1
```

---

The following is a DFT calculation (PBE) of a geometry-optimized LiWAu2 structure.

Structure (CIF):
```
data_LiWAu2
_cell_length_a 2.785
_cell_length_b 2.785
_cell_length_c 8.385
_cell_angle_alpha 90.00
_cell_angle_beta 90.00
_cell_angle_gamma 90.00
_symmetry_space_group_name_H-M 'P 4 m m'
_symmetry_Int_Tables_number 99
loop_
_symmetry_equiv_pos_as_xyz
'x,y,z'
'-y,x,z'
'-x,-y,z'
'y,-x,z'
'-x,y,z'
'y,x,z'
'x,-y,z'
'-y,-x,z'
loop_
_atom_site_label
_atom_site_fract_x
_atom_site_fract_y
_atom_site_fract_z
_atom_site_occupancy
Li1 0.000 0.000 0.000 1
W1 0.500 0.500 0.252 1
Au1 0.000 0.000 0.505 1
Au2 0.500 0.500 0.781 1
```

---

The following is a DFT calculation (PBE) of a geometry-optimized LaGa2AgPt5 structure.

Structure (CIF):
```
data_LaGa2AgPt5
_cell_length_a 4.141
_cell_length_b 4.141
_cell_length_c 9.700
_cell_angle_alpha 90.00
_cell_angle_beta 90.00
_cell_angle_gamma 90.00
_symmetry_space_group_name_H-M 'P 4/m m m'
_symmetry_Int_Tables_number 123
_symmetry_space_group_name_Hall '-P 4 2'
loop_
_atom_site_label
_atom_site_fract_x
_atom_site_fract_y
_atom_site_fract_z
_atom_site_occupancy
La1 0.000 0.000 0.000 1
Ga1 0.500 0.500 0.375 1
Ag1 0.000 0.000 0.500 1
Pt1 0.000 0.500 0.231 1
Pt2 0.500 0.500 0.000 1
```

---

The following is a DFT calculation (PBE) of a geometry-optimized CdP structure.

Structure (CIF):
```
data_CdP
_cell_length_a 3.2170
_cell_length_b 3.2170
_cell_length_c 10.0995
_cell_angle_alpha 90.00
_cell_angle_beta 90.00
_cell_angle_gamma 120.00
_symmetry_space_group_name_H-M 'P -3 m 1'
_symmetry_Int_Tables_number 164
_symmetry_space_group_name_Hall '-P 3 2"'
loop_
_atom_site_label
_atom_site_fract_x
_atom_site_fract_y
_atom_site_fract_z
_atom_site_occupancy
Cd1 0.3333 0.6667 0.1366 1
P1 0.3333 0.6667 0.5625 1
```

---

The following is a DFT calculation (PBE) of a geometry-optimized Nd3AlP2Rh9 structure.

Structure (CIF):
```
data_Nd3AlP2Rh9
_cell_length_a 6.4035
_cell_length_b 6.4035
_cell_length_c 7.7492
_cell_angle_alpha 90.00
_cell_angle_beta 90.00
_cell_angle_gamma 120.00
_symmetry_space_group_name_H-M 'P -3 m 1'
_symmetry_Int_Tables_number 164
_symmetry_space_group_name_Hall '-P 3 2"'
loop_
_atom_site_label
_atom_site_fract_x
_atom_site_fract_y
_atom_site_fract_z
_atom_site_occupancy
........
(So much for the data records)

If those kids were part of the Donner Party, I am sure everyone would have been in agreement that they should be the first to be eaten ... because they are such dumbasses.
I love that one every time I see it. I love the sound it makes as it peels the rear of that car off. It reminds me of peeling a hard boiled egg.
This is the video that got me watching YouTube years ago...
That was funny, Reminds me of a time we went mudding. He took his Toyota Corrola out in the mud and got stuck, I had ot pull him out. Well lets just say he didn't hook the chain to any thing solid and i ripped his bummper off and the lower panel
jeez the snow was bearly around the front of the car they just have to learn how to drive! around my area if you got stuck in that you would be considered the village idiot
Dumbass! :bootysha:

That would never happen to a Dart!

_What comes next are data records, not part of the text_
+++
Record 1
DFT (GGA-PBE) results for a geometry-optimized ZrCuNO2 structure.

Its crystal system is tetragonal. The formation energy (no corrections) is -578 meV per atom. The value obtained for the total energy is -6.75 eV/atom.

The space group is P4/mmm (No. 123) and the conventional cell measures 4.119, 4.119 and 4.280 Å, with angles of 90.00, 90.00 and 90.00 degrees. The distinct sites, in fractional coordinates, are Zr at (0.000, 0.000, 0.000), Cu at (0.500, 0.500, 0.500), N at (0.000, 0.000, 0.500) and O at (0.000, 0.500, 0.000).

=====

Record 2
DFT (GGA-PBE) results for a geometry-optimized CeFeP structure.

Its crystal system is tetragonal. The value obtained for the total energy is -7.54 eV/atom. As for the formation energy: -0.93 eV per atom.

The space group is P4/nmm (No. 129, origin choice 2) and the conventional cell measures 3.872, 3.872 and 6.906 Å, with angles of 90.00, 90.00 and 90.00 degrees. The distinct sites, in fractional coordinates, are Ce at (0.250, 0.250, 0.176), Fe at (0.250, 0.750, 0.500) and P at (0.250, 0.250, 0.672).

=====

Record 3
DFT (GGA-PBE) results for a geometry-optimized TaCr2Os structure.

Its crystal system is monoclinic. The value obtained for the total energy is -10.51 eV/atom. As for the formation energy: 0.07 eV per atom. The polymorph energy (0 for the lowest one) is 111.6 meV per atom.

The space group is C2/m (No. 12) and the conventional cell measures 5.272, 8.416 and 2.702 Å, with angles of 90.00, 109.85 and 90.00 degrees. The distinct sites, in fractional coordinates, are Ta at (0.000, 0.000, 0.000), Cr at (0.250, 0.250, 0.500) and Os at (0.000, 0.500, 0.000).

=====

Record 4
DFT (GGA-PBE) results for a geometry-optimized BaFeRe2 structure.

Its crystal system is tetragonal. The value obtained for the total energy is -8.15 eV/atom. As for the formation energy: 0.67 eV per atom. The polymorph energy (0 for the lowest one) is 126.1 meV per atom.

The space group is P4mm (No. 99) and the conventional cell measures 3.215, 3.215 and 7.905 Å, with angles of 90.00, 90.00 and 90.00 degrees. The distinct sites, in fractional coordinates, are Ba at (0.000, 0.000, 0.000), Fe at (0.500, 0.500, 0.334), Re at (0.000, 0.000, 0.501) and Re at (0.500, 0.500, 0.664).

=====

- Number 1 is which compound?
  ZrCuNO2

----------

! RbAgI2, optimized geometry, DFT GGA-PBE; values from VASP
! Formation energy from raw total energies ... -0.82 eV/atom
! Space group ... R-3m
! Final energy ... -2.55 eV per atom
! Size of the total moment ... 0.000 μB per atom
&SYSTEM
  ibrav = 0, nat = 4, ntyp = 3
/
ATOMIC_SPECIES
I 126.90 I.upf
Rb 85.47 Rb.upf
Ag 107.87 Ag.upf
ATOMIC_POSITIONS angstrom
I -6.774 -0.486 -0.716
I -6.308 -6.817 -4.678
Rb -6.541 -3.652 -2.697
Ag 0.000 0.000 0.000
CELL_PARAMETERS angstrom
-1.794 -2.325 -5.012
-2.091 -5.419 -0.104
-9.197 0.441 -0.279


! Rb3Ag2I6, optimized geometry, DFT GGA-PBE; values from VASP
! Formation energy from raw total energies ... -0.89 eV/atom
! Space group ... I4/mmm
+++

Learning lifes lessons and teaching your friends at the same time?
Slow motion reruns after it was recorded so they can go back and view the rest of their lives, parents too,..........PRICELESS!!!:cheers:
Spring 1997 we had one of those city closing snow storms. Of course, a buddy and I HAD to go to a freinds place to jam and party, so we head out in the 71 Dart in the blinding snow. About half way there, while trying to get moving from a redlight, my peglegger swung the rear against the curb, and I couldn't move. Immediately, a guy in a brandy new GMC 4x pulls up behind me, and offers to push me forward to get some traction, as long as I wouldn't complain if a little bumper damage was done. HELL! It's my winter beater, push away! So as I'm sittin there straightening the wheel, my arse end takes a bump and next thing I know is a foot off the ground. Well, when I got out to survey the damage, I looked at the fron of his truck. Bent the bumper down, smashed the grille, left headlight bezel, broke the bulb and dented the front of his hood. I was ticked, the rubber bumperette on mine was ripped, but I didn't show it. For some reason, he was upset and drove off. Sitting behind him were two fellows in a late 80s Ram, laughing their arses off. The old guy hops out with a chain, pulls me back two feet and all was good. Of course I offered the guys some cash, but they told me that seeing the expression of the other driver when I took out his front end, was payment enough.

These records of crystals were left in the page by mistake:
=====
Entry 1:
Density functional theory data (PBE) for an optimized crystal structure of NpInSnO6.

```
NpInSnO6
1.0
-1.979 -5.099 -0.356
4.067 1.123 3.499
-6.222 1.953 6.604
O In Sn Np
12 2 2 2
Cartesian
-1.563 -3.571 4.462
-2.570 1.548 5.285
-1.674 -0.591 3.476
-0.499 0.699 7.488
-1.400 -1.426 0.745
-2.459 -1.432 6.271
-4.732 0.440 6.812
-2.695 2.424 8.145
-2.733 -0.597 9.002
-1.439 -4.447 1.602
-3.635 -2.722 2.259
0.598 -2.463 2.935
-4.630 -1.560 5.882
0.496 -0.463 3.865
-3.111 0.976 3.302
0.000 0.000 0.000
-1.519 -2.537 2.580
-2.615 0.514 7.167
```

Values from the calculation:
M_tot   2.0 μB per formula unit
Space group   P-31c
Formation energy (no corrections)   -45.38 kcal/mol of atoms
E_tot   -7.46 eV/atom


Entry 2:
Density functional theory data (PBE) for an optimized crystal structure of La2Cd9Ag6.

```
La2Cd9Ag6
1.0
5.847 0.000 0.000
-2.924 5.064 0.000
0.000 0.000 14.251
Ag La Cd
6 2 9
Cartesian
0.000 3.376 0.000
2.924 1.688 9.540
0.000 3.376 9.540
2.924 1.688 4.711
2.924 1.688 0.000
0.000 3.376 4.711
0.000 0.000 9.326
0.000 0.000 4.925
1.462 2.532 11.910
2.924 0.000 11.910
2.924 0.000 7.125
1.462 2.532 7.125
-1.462 2.532 2.341
1.462 2.532 2.341
-1.462 2.532 7.125
2.924 0.000 2.341
-1.462 2.532 11.910
```

Values from the calculation:
M_tot   0.0 μB per formula unit
Space group   P6/mmm
Formation enthalpy at 0 K   -1.79 eV per formula unit
E_tot   -2.18 eV/atom


Entry 3:
Density functional theory data (PBE) for an optimized crystal structure of KZnP2.

```
KZnP2
1.0
5.125 -0.263 0.000
1.504 4.906 0.000
-3.314 -2.321 3.155
Zn P K
1 2 1
Cartesian
0.752 2.453 1.578
3.314 2.321 0.000
0.000 0.000 0.000
2.562 -0.132 1.578
```

Values from the calculation:
M_tot   0.0 μB per formula unit
Space group   I4/mmm
Formation enthalpy at 0 K   2.01 eV per formula unit
E_tot   -2.80 eV/atom


Entry 4:
Density functional theory data (PBE) for an optimized crystal structure of Sr2PmSb3Pt4.

```
Sr2PmSb3Pt4
1.0
-0.655 2.031 4.130
-1.699 -3.984 1.689
10.528 -3.130 3.208
Pm Sb Pt Sr
1 3 4 2
Cartesian
4.087 -2.541 4.514
5.264 -1.565 1.604
0.438 -2.375 1.237
8.913 -1.732 4.880
6.496 -1.013 4.144
2.855 -3.093 1.974
0.000 0.000 0.000
-1.177 -0.976 2.910
7.328 -4.423 3.336
2.024 0.316 2.781
```

Values from the calculation:
M_tot   0.0 μB per formula unit
Space group   P-4m2
Formation energy (no corrections)   -20.17 kcal/mol of atoms
E_tot   -5.34 eV/atom


Entry 5:
Density functional theory data (PBE) for an optimized crystal structure of KRh.

```
KRh
1.0
-1.739 -0.566 -2.302
3.209 -0.284 -2.354
0.735 -9.550 2.153
K Rh
2 2
Cartesian
0.576 -2.283 -0.631
1.629 -8.116 -1.873
0.756 -5.356 -0.014
1.448 -5.043 -2.490
```

Values from the calculation:
M_tot   0.0 μB per formula unit
Space group   P2_1/m
Energy relative to the lowest polymorph listed for this composition   0.000 eV per atom
Formation enthalpy at 0 K   0.74 eV per formula unit
E_tot   -3.86 eV/atom


Entry 6:
Density functional theory data (PBE) for an optimized crystal structure of TiMnPb.

```
TiMnPb
=====

Thats nice! To funny. Out in Glamis me see a lot of people try to drive out in the sand with 40+psi in there tires. They get the thing nice and stuck. Then we go out and tell them to lower there tires down to 10 or less psi and they drive right out of there. LOL
Give me a steel/chrome bumper any time-not a plastic 5 mph impact urethane bumper. It's not your fathers bumper any more...
I was with one of my younger brothers one time in his Dodge van and one of his buddies in a front wheel something wa stuck in the snow. My brother offered to pull him out but he wasn't gonna set the tow strap - that was up to his buddy. I didn't see where the guy attached the strap but sure LMAO when the guy's driver's half shaft got pulled right out from under the car.